关于「 but into」的内容列表

CPI cooled down across the board and pulled gold, but PPI became a roadblock! Powell didn't talk about the time to cut interest rates, but the market has already rushed ahead? Crude oil stopped rising for four weeks, and the Japanese authorities are suspected of intervening again... What stimulus markets did you miss this week?

CPI cooled down across the board and pulled gold, but PPI became a roadblock! Powell didn't talk about the time to cut interest rates, but the market has already rushed ahead? Crude oil stopped rising for four weeks, and the Japanese authorities are suspected of intervening again... What stimulus markets did you miss this week?

____________
Calculated X-ray powder pattern
Compound: Mg3Si4
Radiation: Cu Kα (λ = 1.5418 Å)
Structure: a structure optimized by DFT (PBE)

Structural model:
a = 7.9605 Å, b = 4.3032 Å, c = 7.9657 Å
α = 90.00°, β = 109.90°, γ = 90.00°
Fractional coordinates of all 14 atoms:
Mg 0.0000 0.0000 0.0000
Mg 0.0061 0.0000 0.5961
Mg 0.0202 0.5000 0.3007
Mg 0.3253 0.0000 0.3975
Mg 0.6359 0.5000 0.9750
Mg 0.6475 0.5000 0.3907
Si 0.1293 0.5000 0.8388
Si 0.2887 0.5000 0.6361
Si 0.2997 0.5000 0.1490
Si 0.4128 0.0000 0.7806
Si 0.4596 0.0000 0.0949
Si 0.6558 0.0000 0.6666
Si 0.7886 0.0000 0.2311
Si 0.8183 0.5000 0.7473

Top 10 peaks for 2θ = 5–70°, low angle first:
- 23.79 deg, I = 20
- 31.68 deg, I = 42
- 34.52 deg, I = 81
- 35.99 deg, I = 18
- 36.78 deg, I = 100
- 39.90 deg, I = 72
- 41.86 deg, I = 24
- 41.99 deg, I = 69
- 45.78 deg, I = 20
- 50.72 deg, I = 20



Calculated X-ray powder pattern
Compound: Mg2Si3
Radiation: Cu Kα (λ = 1.5418 Å)
Structure: a structure optimized by DFT (PBE)

Structural model:
a = 3.9341 Å, b = 5.8610 Å, c = 17.0069 Å
α = 93.29°, β = 95.77°, γ = 99.45°
Fractional coordinates of all 20 atoms:
Mg 0.0542 0.0573 0.1904
Mg 0.0600 0.2772 0.0337
Mg 0.1348 0.4545 0.3408
Mg 0.2950 0.7681 0.5320
Mg 0.7050 0.2319 0.4680
Mg 0.8652 0.5455 0.6592
Mg 0.9400 0.7228 0.9663
Mg 0.9458 0.9427 0.8096
Si 0.1026 0.9990 0.3587
Si 0.2087 0.5459 0.1868
Si 0.2732 0.2921 0.5809
Si 0.3133 0.3942 0.8935
Si 0.4797 0.1507 0.7132
Si 0.4910 0.0288 0.9258
Si 0.5090 0.9712 0.0742
Si 0.5203 0.8493 0.2868
Si 0.6867 0.6058 0.1065
Si 0.7268 0.7079 0.4191
Si 0.7913 0.4541 0.8132
Si 0.8974 0.0010 0.6413

Top 10 peaks for 2θ = 5–70°, low angle first:
- 15.87 deg, I = 35
- 33.60 deg, I = 54
- 35.84 deg, I = 33
- 35.99 deg, I = 34
- 36.40 deg, I = 75
- 37.09 deg, I = 64
- 37.31 deg, I = 85
- 37.41 deg, I = 100
- 43.24 deg, I = 56
- 46.82 deg, I = 36



Calculated X-ray powder pattern
Compound: Mg5Si6
Radiation: Cu Kα (λ = 1.5418 Å)
Structure: a structure optimized by DFT (PBE)

Structural model:
a = 4.9275 Å, b = 6.4730 Å, c = 13.8490 Å
α = 87.66°, β = 80.48°, γ = 80.83°
Fractional coordinates of all 22 atoms:
Mg 0.0000 0.0000 0.0000
Mg 0.0048 0.5027 0.1059
Mg 0.2172 0.7207 0.5532
Mg 0.2694 0.5633 0.8738
Mg 0.3997 0.2236 0.6170
Mg 0.4694 0.2306 0.3799
Mg 0.4986 0.7505 0.0466
Mg 0.5576 0.7356 0.3359
Mg 0.5655 0.0571 0.8385
Mg 0.8710 0.4323 0.4737
Si 0.0081 0.0404 0.3909
Si 0.0503 0.2366 0.7959
Si 0.0835 0.9296 0.2208
Si 0.1132 0.5826 0.2955
Si 0.1352 0.8701 0.7465
Si 0.4452 0.1897 0.0355
Si 0.4948 0.4110 0.1848
Si 0.5880 0.0360 0.1891
Si 0.6858 0.8852 0.5120
Si 0.7023 0.7924 0.6871
Si 0.7562 0.4027 0.9400
Si 0.8279 0.4209 0.6691

Top 10 peaks for 2θ = 5–70°, low angle first:
- 31.10 deg, I = 71
- 34.58 deg, I = 82
- 35.06 deg, I = 70
- 35.95 deg, I = 81
- 36.10 deg, I = 78
- 37.60 deg, I = 65
- 37.94 deg, I = 100
- 38.30 deg, I = 80
- 41.06 deg, I = 67
- 43.71 deg, I = 75



Calculated X-ray powder pattern
Compound: Mg4Si3
Radiation: Cu Kα (λ = 1.5418 Å)
____________

2024-07-13 04:52:15
CPI cooling down the whole line to pull the explosion of gold, PPI has become a roadblock! Powell did not talk about the time to cut interest rates, but the market has already rushed? The seven giants evaporated nearly 600 billion dollars overnight, and Japan is suspected of intervening again... What stimulus market did you miss this week?

CPI cooling down the whole line to pull the explosion of gold, PPI has become a roadblock! Powell did not talk about the time to cut interest rates, but the market has already rushed? The seven giants evaporated nearly 600 billion dollars overnight, and Japan is suspected of intervening again... What stimulus market did you miss this week?

-- Records of crystals, as found in the file --
┌──
Record 1
Diffraction record for SmMgSc2Cu4. The powder diffractogram is computed, not measured: it uses a cell relaxed with GGA-PBE and a wavelength of 1.5418 Å.
Intensities are scaled so that the largest is 100.

Peak list (10 most intense, 10° ≤ 2θ ≤ 90°, by angle)
- 2θ 22.6, rel. 20
- 2θ 23.5, rel. 17
- 2θ 29.1, rel. 24
- 2θ 34.4, rel. 14
- 2θ 37.4, rel. 92
- 2θ 39.2, rel. 100
- 2θ 43.9, rel. 14
- 2θ 55.3, rel. 28
- 2θ 69.8, rel. 27
- 2θ 71.0, rel. 16

Atomic structure:
```
SmMgSc2Cu4
1.0
2.301 1.328 8.027
-2.301 1.328 8.027
0.000 -2.657 8.027
Sm Mg Sc Cu
1 1 2 4
Cartesian
0.000 0.000 0.000
0.000 0.000 12.040
0.000 0.000 5.805
0.000 0.000 18.275
0.000 0.000 2.964
0.000 0.000 9.430
0.000 0.000 14.650
0.000 0.000 21.116
```


Record 2
Diffraction record for MgCu2Se2. The powder diffractogram is computed, not measured: it uses a cell relaxed with GGA-PBE and a wavelength of 1.5418 Å.
Intensities are scaled so that the largest is 100.

Peak list (10 most intense, 10° ≤ 2θ ≤ 90°, by angle)
- 2θ 25.6, rel. 88
- 2θ 26.0, rel. 63
- 2θ 27.1, rel. 35
- 2θ 29.0, rel. 41
- 2θ 29.9, rel. 62
- 2θ 43.9, rel. 61
- 2θ 44.7, rel. 100
- 2θ 45.3, rel. 58
- 2θ 48.9, rel. 41
- 2θ 49.1, rel. 84

Atomic structure:
```
MgCu2Se2
1.0
6.586 0.000 0.000
0.000 7.056 0.000
0.000 0.000 4.003
Mg Cu Se
2 4 4
Cartesian
0.000 0.000 0.987
3.293 3.528 3.017
0.794 4.498 0.990
2.499 0.970 3.014
4.087 6.087 3.014
5.792 2.558 0.990
1.547 5.760 2.996
1.745 2.231 1.008
4.840 4.825 1.008
5.038 1.297 2.996
```


Record 3
Diffraction record for MgCuSe. The powder diffractogram is computed, not measured: it uses a cell relaxed with GGA-PBE and a wavelength of 1.5418 Å.
Intensities are scaled so that the largest is 100.

Peak list (10 most intense, 10° ≤ 2θ ≤ 90°, by angle)
- 2θ 14.1, rel. 27
- 2θ 14.3, rel. 26
- 2θ 24.4, rel. 26
- 2θ 24.8, rel. 74
- 2θ 25.3, rel. 100
- 2θ 28.4, rel. 30
- 2θ 42.3, rel. 46
- 2θ 43.4, rel. 53
- 2θ 44.0, rel. 89
- 2θ 48.3, rel. 34

Atomic structure:
```
MgCuSe
1.0
4.276 0.000 0.000
0.000 6.194 3.652
0.000 -6.194 3.652
Mg Cu Se
3 3 3
Cartesian
0.000 0.000 0.000
0.000 -1.587 3.161
0.000 1.587 3.161
2.138 0.000 1.411
2.138 -1.282 6.468
2.138 1.282 6.468
0.000 -2.302 5.742
0.000 2.302 5.742
2.138 0.000 3.790
```


Record 4
Diffraction record for Mg8CuSe4. The powder diffractogram is computed, not measured: it uses a cell relaxed with GGA-PBE and a wavelength of 1.5418 Å.
Intensities are scaled so that the largest is 100.

Peak list (10 most intense, 10° ≤ 2θ ≤ 90°, by angle)
- 2θ 19.1, rel. 34
- 2θ 27.1, rel. 39
- 2θ 27.5, rel. 100
- 2θ 28.8, rel. 27
- 2θ 33.7, rel. 22
- 2θ 38.7, rel. 20
- 2θ 41.4, rel. 15
- 2θ 43.5, rel. 20
- 2θ 43.7, rel. 66
- 2θ 46.6, rel. 16

Atomic structure:
```
Mg8CuSe4
1.0
-6.578 6.578 1.948
6.578 -6.578 1.948
6.578 6.578 -1.948
Mg Cu Se
8 1 4
Cartesian
5.067 0.823 0.000
8.953 4.160 0.000
4.160 4.204 0.000
5.756 -1.511 1.948
0.823 8.090 0.000
2.418 2.375 1.948
-2.375 2.418 1.948
1.511 5.756 1.948
0.000 0.000 0.000
6.543 3.079 0.000
└──

2024-07-12 13:48:15

7x24 快讯

06:07 2025-03-24
据官方公告,Binance 将于 2025 年 03 月 28 日 14:00(东八区时间)调整统一账户 CRV、UNI、ALGO、KSM、XTZ、XEC 资产的抵押率。此更新大约在一小时内完成。
05:54 2025-03-24
白宫正考虑对原定于 4 月 2 日执行的关税政策进行调整,拟采取更具针对性的措施,避免对特定行业加征关税,仅对贸易不平衡国家实施“对等关税”,引发市场情绪缓和。分析人士指出,尽管关税并不会直接影响加密资产价格,但市场对特朗普贸易政策带来的宏观不确定性尤为敏感。Grayscale 研究主管 Zach Pandl 表示,“政策不确定性加...
05:42 2025-03-24
Cathie Wood:ARK Invest近期逆势抄底加密货币关联资产
3月24日消息,ARK Invest创始人Cathie Wood表示,美国已陷入滚动式衰退(不同行业轮动衰退)。CathieWood对美国经济的短期前景持悲观态度,但预计美联储和特朗普政府将很快采取行动。CathieWood指出,特朗普关税重拳与裁员潮正迫使美国家庭捂紧钱包,对失业的恐惧让储蓄率飙升,消费引擎骤然熄火。她透露,方舟投资(ARK Invest)近期逆势抄底特斯拉、Coinbase与Robinh...
05:30 2025-03-24
美国财政部认为 Tornado Cash 案无需最终判决
据 Cointelegraph 报道,美国财政部表示,由于已于 3 月 21 日将加密混币服务 Tornado Cash 从制裁名单中移除,因此对其提起的法律挑战应被视为"无争议"。美国财政部...
05:27 2025-03-24
05:21 2025-03-24
BNB Chain生态DEX上周交易量达143.36亿美元,排名各链第一
05:21 2025-03-24
05:03 2025-03-24
Galaxy Digital从Binance提出1万枚ETH,约2042万美元
3月24日消息,据The Data Nerd监测,3小时前,Galaxy Digital从Binance提出1万枚ETH,约2042万美元。
04:50 2025-03-24
3月24日消息,据SoSoValue数据,上周以太坊现货ETF整体录得1.03亿美元净流出。其中,贝莱德ETHA净流出7400万美元居首,灰度迷你信托ETF ETH净流出2367万美元。唯一录得净流入的为灰度ETHE,流入287万美元。当前以太坊现货ETF总资产净值为67.7亿美元,占ETH总市值的2.84%。历史累计净流入24.2亿美元。
04:44 2025-03-24
OKX Wallet独立App在部分地区和部分设备还不可用
OKX Web3 产品负责人 Kyle 在 X 平台发文补充:“部分地区和设备用户可能还不可用,请大家再耐心等等。” 此前,Kyle 在社交媒体发文表示,“OKX Wallet 独立 App 已上架谷歌商店,搜索即可下载,上架 APP Store 正在审核中。”
04:23 2025-03-24
Solana链上AI概念币反弹,BUZZ 24小时涨超36%
04:08 2025-03-24
Mail3 宣布将于 3 月 31 日停止维护